# Material
- - -
A plane-wave DFT calculation with PBE was carried out for an optimized crystal structure of YGa3NiGe.

Values from the calculation:
- size of the total moment (μB/cell) = 0.000
- symmetry = No. 107
- ΔE_f (eV per atom) = -0.508
- crystal system = tetragonal

Cell lengths 12.4254, 12.4254, 12.4254 Å; angles 160.46, 160.46, 27.77 degrees
With the nearest neighbours (Å) after each atom.
Fractional positions:
Y (0.8465, 0.8465, 0.0000)  4 Ge 3.07, 8 Ga 3.20-3.32, 4 Ni 3.35
Y (0.1442, 0.1442, 0.0000)  4 Ge 2.98, 8 Ga 3.01-3.13
Ni (0.0004, 0.0004, 0.0000)  8 Ga 2.48-2.49
Ni (0.2830, 0.2830, 0.0000)  1 Ge 2.27, 4 Ga 2.35
Ge (0.6489, 0.6489, 0.0000)  4 Y 2.98, 8 Ga 3.05-3.10
Ge (0.3770, 0.3770, 0.0000)  1 Ni 2.27
Ga (0.7403, 0.2403, 0.5000)  2 Ni 2.35
Ga (0.2403, 0.7403, 0.5000)  2 Ni 2.35
Ga (0.9463, 0.4463, 0.5000)  2 Ni 2.48, 1 Ga 2.62, 2 Ge 2.69
Ga (0.4463, 0.9463, 0.5000)  2 Ni 2.48, 1 Ga 2.62, 2 Ge 2.69
Ga (0.0550, 0.5550, 0.5000)  2 Ni 2.49, 1 Ga 2.62
Ga (0.5550, 0.0550, 0.5000)  2 Ni 2.49, 1 Ga 2.62


! Mn2MoOs2 (GGA-PBE, optimized geometry); values from VASP
&SYSTEM
  ibrav = 0, nat = 10, ntyp = 3
/
ATOMIC_SPECIES
Mn 54.94 Mn.upf
Os 190.23 Os.upf
Mo 95.94 Mo.upf
CELL_PARAMETERS angstrom
-1.6295 -3.1787 6.0756
2.4395 -6.1049 -2.5397
2.4697 0.5842 0.9680
ATOMIC_POSITIONS angstrom
Mn 1.5263 -6.5656 0.0682
Mn -0.7162 -2.7180 3.4677
Mn 0.7251 -2.6967 -0.2225
Mn 0.0850 -6.5869 3.7583
Os 2.1574 -6.8972 2.4689
Os 1.1223 -1.8022 2.0350
Os 2.5944 -4.3625 -0.1756
Os 0.6854 -4.3369 4.6795
Mo 0.4050 -4.6418 1.7679
Mo 0.0000 0.0000 0.0000
! - D(E_F): 8.18 states/eV/cell
! - Energy relative to the lowest polymorph listed for this composition: 0.0 meV/atom
! - Crystal system: tetragonal

---

! Mn2MoOs (GGA-PBE, optimized geometry); values from VASP
&SYSTEM
  ibrav = 0, nat = 4, ntyp = 3
/
ATOMIC_SPECIES
Mo 95.94 Mo.upf
Mn 54.94 Mn.upf
Os 190.23 Os.upf
CELL_PARAMETERS angstrom
-1.8720 1.8015 1.6306
-2.3720 -1.8016 -0.7328
1.0002 -3.2397 4.7276
ATOMIC_POSITIONS angstrom
Mo -1.8720 -0.8099 1.6308
Mn 0.4972 -1.6104 2.3500
Mn 0.0029 -0.0094 0.0138
Os -1.3719 -2.4298 3.9946
! - D(E_F): 3.82 states/eV/cell
! - Energy: -9.96 eV/atom
! - Crystal system: tetragonal

---

! MnMo2Os6 (GGA-PBE, optimized geometry); values from VASP
&SYSTEM
  ibrav = 0, nat = 18, ntyp = 3
/
ATOMIC_SPECIES
Os 190.23 Os.upf
Mo 95.94 Mo.upf
Mn 54.94 Mn.upf
CELL_PARAMETERS angstrom
5.1454 0.0248 0.7563
0.8525 7.1084 2.2420
0.1147 0.6450 7.4735
ATOMIC_POSITIONS angstrom
Os 1.4938 3.3917 8.2637
Os 4.0464 2.5010 8.5549
Os 3.1755 4.9409 4.4594
Os 2.9371 2.8374 6.0125
Os 2.0663 5.2772 1.9170
Os 1.6182 0.6257 4.8640
Os 0.5963 4.8558 3.9905
Os 4.0968 0.5401 6.1394
Os 5.5164 2.9224 6.4813
Os 2.0158 7.2381 4.3325
Os 4.6188 4.3866 2.2081
Os 4.4944 7.1525 5.6079
Mo 3.6676 5.1337 7.2109
Mo 4.9788 2.3162 3.9148
Mo 1.1338 5.4620 6.5570
Mo 2.4450 2.6445 3.2609
Mn 4.6513 6.5990 3.2366
Mn 1.4614 1.1793 7.2352
! - D(E_F): 13.14 states/eV/cell
! - Energy: -10.67 eV/atom
! - Crystal system: monoclinic

---

! MnMoOs2 (GGA-PBE, optimized geometry); values from VASP
&SYSTEM
  ibrav = 0, nat = 4, ntyp = 3
/
ATOMIC_SPECIES
Mn 54.94 Mn.upf
Os 190.23 Os.upf
Mo 95.94 Mo.upf
CELL_PARAMETERS angstrom
0.0000 3.0793 3.0793
3.0793 0.0000 3.0793
3.0793 3.0793 0.0000
ATOMIC_POSITIONS angstrom
Mn 0.0000 0.0000 0.0000
Os 4.6190 4.6190 4.6190
Os 1.5397 1.5397 1.5397
Mo 3.0793 3.0793 3.0793
! - D(E_F): 3.15 states/eV/cell
! - Energy relative to the lowest polymorph listed for this composition: 122.9 meV/atom
! - Crystal system: cubic

---

! Mn2MoOsPb (GGA-PBE, optimized geometry); values from VASP
&SYSTEM
  ibrav = 0, nat = 5, ntyp = 4
/
ATOMIC_SPECIES
Mn 54.94 Mn.upf
Os 190.23 Os.upf
Pb 207.20 Pb.upf
Mo 95.94 Mo.upf
CELL_PARAMETERS angstrom
-0.9130 -1.7715 4.4347
4.4101 -1.8956 0.1507
1.6947 4.1009 1.9870
ATOMIC_POSITIONS angstrom
Mn -0.4565 -0.8857 2.2173
Mn 0.8474 2.0504 0.9935
Os 2.2051 -0.9478 0.0754
Pb 2.5960 0.2169 3.2862
Mo 0.0000 0.0000 0.0000
! - D(E_F): 4.39 states/eV/cell
! - Energy: -7.49 eV/atom
- - -
# What to do
Write out every line above that contains the word "No".
# Result
- symmetry = No. 107